Top Podcasts of the Week

Below is our “Top Podcast” episode with our new curator, Colby Donovan! Holler with any feedback!

Today we have episodes on the yield curve, WeWork, and happiness.

  • The Compound Show: The Yield Curve Indicator (with Josh, Michael, and Campbell Harvey). Campbell Harvey is a Professor at Duke University and a partner as Research Affiliates. He discusses the meaning of the inverted yield curve indicator, which he discovered in 1986 and has occurred before the last seven recessions. He also addresses some ideas around why this time may be different. For a longer interview with Harvey, you can listen to him on Meb Faber’s podcast here. [October 7, 2019–25 minutesiTunes Podcast | Spotify | Overcast |Breaker | Website Link

  • The Acquirer’s Podcast: Sector Bets: Lawrence Hamtil talks about the influence of uncompensated sector bets on value, small, and micro and international. Hamtil is a Principal and author at Fortune Financial Advisors, and joins the episode to discuss how focusing on sector concentration instead of growth/value will help produce better returns. He also elaborates on factor returns, including low vol & the small cap premium, the sin premium, and why investors in general focus too much on whether they are growth or value investors. [October 4, 2019–1 hour, 1 minuteiTunes Podcast | Spotify | Overcast |Breaker | Website Link

What comes next are materials data, not part of the text:
/*
No. 1
# Zr2Hg
Theoretical XRD peak list, λ = 1.5418 Å (Cu Kα). Input: a crystal structure in Alexandria, relaxed with GGA-PBE.

Principal peaks in the range 10° ≤ 2θ ≤ 80°, in order of falling intensity:
2θ (°)	d [Å]	I_rel
32.93	2.720	100
36.53	2.460	89
41.64	2.169	80
12.54	7.057	57
38.26	2.352	39
30.32	2.948	35
62.55	1.485	31
40.90	2.206	28
52.83	1.733	27
71.93	1.313	24
73.03	1.296	23
69.76	1.348	23

Atomic structure:
Cell lengths 14.2844, 14.2844, 14.2844 Å; angles 167.52, 167.52, 17.68 degrees
Fractional coordinates of all 6 atoms:
Zr: 0.2960 0.5460 0.7500
Zr: 0.4540 0.7040 0.7500
Zr: 0.5460 0.2960 0.2500
Zr: 0.7040 0.4540 0.2500
Hg: 0.1250 0.8750 0.2500
Hg: 0.8750 0.1250 0.7500

***

No. 2
# Zr5Hg6
Theoretical XRD peak list, λ = 1.5418 Å (Cu Kα). Input: a crystal structure in Alexandria, relaxed with GGA-PBE.

Principal peaks in the range 10° ≤ 2θ ≤ 80°, in order of falling intensity:
2θ (°)	d [Å]	I_rel
36.24	2.479	100
37.19	2.417	33
26.84	3.322	30
34.25	2.618	21
39.42	2.286	19
66.44	1.407	17
36.80	2.443	16
55.31	1.661	14
71.81	1.315	12
53.32	1.718	11
72.90	1.298	11
23.90	3.723	11

Atomic structure:
Cell lengths 8.1690, 8.1690, 8.1690 Å; angles 145.57, 125.77, 65.83 degrees
Fractional coordinates of all 11 atoms:
Zr: 0.0000 0.0000 0.0000
Zr: 0.1458 0.6458 0.5000
Zr: 0.3006 0.3006 0.0000
Zr: 0.6994 0.6994 0.0000
Zr: 0.8542 0.3542 0.5000
Hg: 0.1375 0.8487 0.2888
Hg: 0.3041 0.5000 0.8041
Hg: 0.4401 0.1513 0.2888
Hg: 0.5599 0.8487 0.7112
Hg: 0.6959 0.5000 0.1959
Hg: 0.8625 0.1513 0.7112

***

No. 3
# ZrHg7
Theoretical XRD peak list, λ = 1.5418 Å (Cu Kα). Input: a crystal structure in Alexandria, relaxed with GGA-PBE.

Principal peaks in the range 10° ≤ 2θ ≤ 80°, in order of falling intensity:
2θ (°)	d [Å]	I_rel
33.94	2.641	100
39.39	2.288	50
67.96	1.379	41
56.93	1.618	35
71.43	1.321	12
16.78	5.283	3
32.45	2.759	2
19.40	4.575	1
27.57	3.235	1
43.09	2.099	1
44.27	2.046	1
59.79	1.547	1

Atomic structure:
Cell lengths 6.4701, 6.4701, 6.4701 Å; angles 60.00, 60.00, 60.00 degrees
Fractional coordinates of all 8 atoms:
Zr: 0.0000 0.0000 0.0000
Hg: 0.0000 0.0000 0.5000
Hg: 0.0000 0.5000 0.0000
Hg: 0.0000 0.5000 0.5000
Hg: 0.5000 0.0000 0.0000
Hg: 0.5000 0.0000 0.5000
Hg: 0.5000 0.5000 0.0000
Hg: 0.5000 0.5000 0.5000

***

No. 4
# ZrHg5
Theoretical XRD peak list, λ = 1.5418 Å (Cu Kα). Input: a crystal structure in Alexandria, relaxed with GGA-PBE.

Principal peaks in the range 10° ≤ 2θ ≤ 80°, in order of falling intensity:
2θ (°)	d [Å]	I_rel
34.32	2.613	100
37.64	2.390	40
65.82	1.419	31
59.21	1.560	20
54.29	1.690	14
43.95	2.060	12
72.32	1.307	11
74.58	1.272	9
30.14	2.965	4
53.32	1.718	2
66.54	1.405	2
27.36	3.260	2

Atomic structure:
Cell lengths 3.3796, 3.3796, 12.3621 Å; angles 90.00, 90.00, 90.00 degrees
Fractional coordinates of all 6 atoms:
Zr: 0.0000 0.0000 0.0000
Hg: 0.0000 0.0000 0.3280
Hg: 0.0000 0.0000 0.6720
Hg: 0.5000 0.5000 0.1558
Hg: 0.5000 0.5000 0.5000
Hg: 0.5000 0.5000 0.8442

***

No. 5
# Zr5Hg
*/
So much for the materials data:

  • Planet Money: #943: Unicorn Cowboy. If you’ve been following the financial news the last month, you know that WeWork went from being the most valuable startup in American to withdrawing their IPO. The situation wouldn’t have been possible without the $10 billion raised, mostly from Masayoshi Son and his Vision Fund, the biggest venture-capital fund in the history of the world. The episode explores Son’s background, how the Vision Fund changed how startups raise money, and the impact that had on the WeWork blowup. [October 4, 2019–21 minutesiTunes Podcast | Spotify | Overcast |Breaker | Website Link

The Rest
  • ***Must Listen***The TED Interview: Dan Gilbert on the surprising science of happiness. Gilbert is a Harvard psychologist, professor, and author of New York Time’s bestselling book Stumbling on Happiness. While the episode is mostly about happiness, my takeaway is the different ways our minds deceive us. He says the delta between how we expect to feel when something bad happens in the future and how we actually feel if that bad experience happens is large, and we need to realize we are poor at predicting our emotions in the future. He also discusses the fact that we’re prone to self-deception and struggle to think long-term since humans haven’t had to do so until recently. [October 9, 2019–1 hour, 1 minuteiTunes Podcast | Spotify | Overcast |Breaker | Website Link

  • EconTalk: Ryan Holiday on Stillness Is the Key. Best selling author Ryan Holiday talks about his latest book, Stillness Is the Key. The book explains how stillness (serenity + focus) can have a positive impact on how we live and experience life, and how we can get clarity and experience inner peace when the world slows down. He does a great job explaining how he applies some of the topics to his own life, including how he schedules his days and devoting time to both journaling and reading. [October 7, 2019–1 hour, 23 minutesiTunes Podcast | Spotify | Overcast |Breaker | Website Link

  • Michael Lombardi (Former NFL Executive, New England Patriots)Clive Davis: The Soundtrack of Our Lives (Trailer here). Lombardi recommends this for anyone who’s in a hiring position. The general idea of the documentary is that if Davis could match the right song with the right artist, he could create a star, which he did many times over.


Here’s ours:

Good investing,Meb